== Assignment ==
It remains to type out the rows underneath character by character.
== Data ==
<<<
A plane-wave DFT calculation with GGA-PBE was carried out for a relaxed Li3As2Pd2 crystal.

Formation energy from the elements: -0.371 eV/atom
Calculated density: 5.34 g cm⁻³
D(E_F): 0.47 states/eV per atom
Relative energy among the computed polymorphs: 166.4 kJ/mol of formula units
Total magnetic moment: 0.0 Bohr magnetons per cell

Structure (CIF):
```
data_Li3As2Pd2
_chemical_formula_sum 'Li3 As2 Pd2'
_cell_length_a 4.2115
_cell_length_b 2.9251
_cell_length_c 9.6791
_cell_angle_alpha 90.00
_cell_angle_beta 91.07
_cell_angle_gamma 90.00
_symmetry_space_group_name_H-M 'P 1 2/m 1'
_symmetry_Int_Tables_number 10
_symmetry_space_group_name_Hall '-P 2y'
loop_
_atom_site_label
_atom_site_type_symbol
_atom_site_fract_x
_atom_site_fract_y
_atom_site_fract_z
_atom_site_occupancy
Li1 Li 0.0000 0.0000 0.0000 1
Li2 Li 0.2462 0.0000 0.4350 1
As1 As 0.2409 0.5000 0.2083 1
Pd1 Pd 0.2603 0.0000 0.7205 1
```

* * * * *

Record 1
# SmDy6Tm3Th2

A relaxed structure of SmDy6Tm3Th2 (PBE-GGA, Alexandria).

As for the formation energy: 0.033 eV/atom. The density of states at the Fermi level comes out at 17.393 states/eV per cell. The calculation puts the calculated total energy at -5.02 eV/atom.

a = 6.1452 Å, b = 6.1452 Å, c = 11.7259 Å
α = 95.03°, β = 95.03°, γ = 119.94°
Atoms (fractional coordinates):
1 Dy 0.0841 0.4214 0.2501
2 Dy 0.7465 0.7465 0.2502
3 Dy 0.2535 0.2535 0.7498
4 Dy 0.9159 0.5786 0.7499
5 Dy 0.4214 0.0841 0.2501
6 Dy 0.5786 0.9159 0.7499
7 Th 0.3333 0.6667 0.0000
8 Th 0.6667 0.3333 0.0000
9 Tm 0.1664 0.8336 0.5000
10 Tm 0.5000 0.5000 0.5000
11 Tm 0.8336 0.1664 0.5000
12 Sm 0.0000 0.0000 0.0000

Record 2
# SmDyTm2Th

A relaxed structure of SmDyTm2Th (PBE-GGA, Alexandria).

As for the formation energy: 0.358 eV/atom. The density of states at the Fermi level comes out at 18.843 states/eV per cell. The calculation puts the calculated total energy at -4.78 eV/atom.

a = 6.0126 Å, b = 8.2998 Å, c = 6.9294 Å
α = 97.87°, β = 90.00°, γ = 90.00°
Atoms (fractional coordinates):
1 Tm 0.5746 0.3331 0.5722
2 Tm 0.4254 0.3331 0.0722
3 Tm 0.5746 0.6669 0.9278
4 Tm 0.4254 0.6669 0.4278
5 Th 0.5231 0.0000 0.2500
6 Th 0.4769 0.0000 0.7500
7 Dy 0.9224 0.5000 0.2500
8 Dy 0.0776 0.5000 0.7500
9 Sm 0.0000 0.0000 0.5000
10 Sm 0.0000 0.0000 0.0000

Record 3
# Sm5DyTm2Th

A relaxed structure of Sm5DyTm2Th (PBE-GGA, Alexandria).

As for the formation energy: 0.160 eV/atom. The density of states at the Fermi level comes out at 28.170 states/eV per cell. The calculation puts the calculated total energy at -4.79 eV/atom.

a = 5.6158 Å, b = 10.5343 Å, c = 10.5402 Å
α = 90.00°, β = 90.00°, γ = 105.46°
Atoms (fractional coordinates):
1 Tm 0.8851 0.7702 0.8127
2 Tm 0.1119 0.2239 0.7381
3 Tm 0.1149 0.2298 0.3127
4 Tm 0.8881 0.7761 0.2381
5 Sm 0.7233 0.4466 0.8124
6 Sm 0.6128 0.2256 0.5260
7 Sm 0.7056 0.4112 0.2047
8 Sm 0.2767 0.5534 0.3124
9 Sm 0.3872 0.7744 0.0260
10 Sm 0.4799 0.9598 0.7431
11 Sm 0.9855 0.9710 0.5198
12 Sm 0.5201 0.0402 0.2431
13 Sm 0.2944 0.5888 0.7047
14 Sm 0.0145 0.0290 0.0198
15 Dy 0.5927 0.1854 0.9547
16 Dy 0.4073 0.8146 0.4547
17 Th 0.8011 0.6023 0.5125
18 Th 0.1989 0.3977 0.0125

* * * * *

DFT (GGA-PBE) results for a relaxed structure of Ge3WI.

Output
The uncorrected formation energy is 0.393 eV/atom. Its space group is Pm-3m, No. 221. The total DFT energy (no corrections) is -5.278 eV per atom.

Structure (POSCAR):
```
Ge3WI
1.0
5.019 0.000 0.000
0.000 5.019 0.000
0.000 0.000 5.019
Ge W I
3 1 1
direct
0.000 0.000 0.500
0.000 0.500 0.000
0.500 0.000 0.000
0.000 0.000 0.000
0.500 0.500 0.500
```

=====

DFT (GGA-PBE) results for a relaxed structure of MnTcW2I.

Output
The uncorrected formation energy is 2.557 eV/atom. Its space group is P4/mmm, No. 123. The total DFT energy (no corrections) is -6.842 eV per atom.

Structure (POSCAR):
```
MnTcW2I
1.0
4.863 0.000 0.000
0.000 4.863 0.000
0.000 0.000 4.769
Mn Tc W I
1 1 2 1
direct
0.000 0.000 0.000
0.500 0.500 0.000
0.000 0.500 0.500
0.500 0.000 0.500
0.500 0.500 0.500
```

=====
>>>
== Done ==
A plane-wave DFT calculation with GGA-PBE was carried out for a relaxed Li3As2Pd2 crystal.

Formation energy from the elements: -0.371 eV/atom
Calculated density: 5.34 g cm⁻³
D(E_F): 0.47 states/eV per atom
Relative energy among the computed polymorphs: 166.4 kJ/mol of formula units
Total magnetic moment: 0.0 Bohr magnetons per cell

Structure (CIF):
```
data_Li3As2Pd2
_chemical_formula_sum 'Li3 As2 Pd2'
_cell_length_a 4.2115
_cell_length_b 2.9251
_cell_length_c 9.6791
_cell_angle_alpha 90.00
_cell_angle_beta 91.07
_cell_angle_gamma 90.00
_symmetry_space_group_name_H-M 'P 1 2/m 1'
_symmetry_Int_Tables_number 10
_symmetry_space_group_name_Hall '-P 2y'
loop_
_atom_site_label
_atom_site_type_symbol
_atom_site_fract_x
_atom_site_fract_y
_atom_site_fract_z
_atom_site_occupancy
Li1 Li 0.0000 0.0000 0.0000 1
Li2 Li 0.2462 0.0000 0.4350 1
As1 As 0.2409 0.5000 0.2083 1
Pd1 Pd 0.2603 0.0000 0.7205 1
```

* * * * *

Record 1
# SmDy6Tm3Th2

A relaxed structure of SmDy6Tm3Th2 (PBE-GGA, Alexandria).

As for the formation energy: 0.033 eV/atom. The density of states at the Fermi level comes out at 17.393 states/eV per cell. The calculation puts the calculated total energy at -5.02 eV/atom.

a = 6.1452 Å, b = 6.1452 Å, c = 11.7259 Å
α = 95.03°, β = 95.03°, γ = 119.94°
Atoms (fractional coordinates):
1 Dy 0.0841 0.4214 0.2501
2 Dy 0.7465 0.7465 0.2502
3 Dy 0.2535 0.2535 0.7498
4 Dy 0.9159 0.5786 0.7499
5 Dy 0.4214 0.0841 0.2501
6 Dy 0.5786 0.9159 0.7499
7 Th 0.3333 0.6667 0.0000
8 Th 0.6667 0.3333 0.0000
9 Tm 0.1664 0.8336 0.5000
10 Tm 0.5000 0.5000 0.5000
11 Tm 0.8336 0.1664 0.5000
12 Sm 0.0000 0.0000 0.0000

Record 2
# SmDyTm2Th

A relaxed structure of SmDyTm2Th (PBE-GGA, Alexandria).

As for the formation energy: 0.358 eV/atom. The density of states at the Fermi level comes out at 18.843 states/eV per cell. The calculation puts the calculated total energy at -4.78 eV/atom.

a = 6.0126 Å, b = 8.2998 Å, c = 6.9294 Å
α = 97.87°, β = 90.00°, γ = 90.00°
Atoms (fractional coordinates):
1 Tm 0.5746 0.3331 0.5722
2 Tm 0.4254 0.3331 0.0722
3 Tm 0.5746 0.6669 0.9278
4 Tm 0.4254 0.6669 0.4278
5 Th 0.5231 0.0000 0.2500
6 Th 0.4769 0.0000 0.7500
7 Dy 0.9224 0.5000 0.2500
8 Dy 0.0776 0.5000 0.7500
9 Sm 0.0000 0.0000 0.5000
10 Sm 0.0000 0.0000 0.0000

Record 3
# Sm5DyTm2Th

A relaxed structure of Sm5DyTm2Th (PBE-GGA, Alexandria).

As for the formation energy: 0.160 eV/atom. The density of states at the Fermi level comes out at 28.170 states/eV per cell. The calculation puts the calculated total energy at -4.79 eV/atom.

a = 5.6158 Å, b = 10.5343 Å, c = 10.5402 Å
α = 90.00°, β = 90.00°, γ = 105.46°
Atoms (fractional coordinates):
1 Tm 0.8851 0.7702 0.8127
2 Tm 0.1119 0.2239 0.7381
3 Tm 0.1149 0.2298 0.3127
4 Tm 0.8881 0.7761 0.2381
5 Sm 0.7233 0.4466 0.8124
6 Sm 0.6128 0.2256 0.5260
7 Sm 0.7056 0.4112 0.2047
8 Sm 0.2767 0.5534 0.3124
9 Sm 0.3872 0.7744 0.0260
10 Sm 0.4799 0.9598 0.7431
11 Sm 0.9855 0.9710 0.5198
12 Sm 0.5201 0.0402 0.2431
13 Sm 0.2944 0.5888 0.7047
14 Sm 0.0145 0.0290 0.0198
15 Dy 0.5927 0.1854 0.9547
16 Dy 0.4073 0.8146 0.4547
17 Th 0.8011 0.6023 0.5125
18 Th 0.1989 0.3977 0.0125

* * * * *

DFT (GGA-PBE) results for a relaxed structure of Ge3WI.

Output
The uncorrected formation energy is 0.393 eV/atom. Its space group is Pm-3m, No. 221. The total DFT energy (no corrections) is -5.278 eV per atom.

Structure (POSCAR):
```
Ge3WI
1.0
5.019 0.000 0.000
0.000 5.019 0.000
0.000 0.000 5.019
Ge W I
3 1 1
direct
0.000 0.000 0.500
0.000 0.500 0.000
0.500 0.000 0.000
0.000 0.000 0.000
0.500 0.500 0.500
```

=====

DFT (GGA-PBE) results for a relaxed structure of MnTcW2I.

Output
The uncorrected formation energy is 2.557 eV/atom. Its space group is P4/mmm, No. 123. The total DFT energy (no corrections) is -6.842 eV per atom.

Structure (POSCAR):
```
MnTcW2I
1.0
4.863 0.000 0.000
0.000 4.863 0.000
0.000 0.000 4.769
Mn Tc W I
1 1 2 1
direct
0.000 0.000 0.000
0.500 0.500 0.000
0.000 0.500 0.500
0.500 0.000 0.500
0.500 0.500 0.500
```

=====